The idea of men and women being sexier than ever is something that is commonly touted but almost never examined. We see the opposite every day in the media: women are portrayed as sex objects and little more, while men have to be rugged and masculine to be attractive. This can’t be good for us, can it? It’s time for a change and it’s time for men and women to look at their sex lives from a different perspective.
There is so much you can learn from men around the world, the best way to do this is to make use of the wisdom of the world’s leading guys on everything from love, work, sex and health, so that you can be the smartest guy in the room, and therefore gain the edge over your competition.
I grew up in a house where my father was enraged and my mother was terrified. I wanted to find out why they felt the way they did and how I could receive the safety and love I needed to live and flourish. I started as an amateur psychologist when I was five years old, and now that I have a master’s degree in social work and a PhD in international health, many refer to me as a professional. I’d want to share what I’ve learnt about Evolutionary Science in this essay.
Charles Darwin originally proposed the idea of evolution by natural selection in his book On the Origin of Species, published in 1859. According to Brian Richmond, curator of human origins at the American Museum of Natural History in New York City, the hypothesis includes two major points:
- All life on Earth is intertwined and interdependent.
- The variety of life on Earth is a result of population changes caused by natural selection, in which certain characteristics were preferred in a given environment over others.
The idea is often referred to as “survival of the fittest,” although this is deceptive since “fitness” refers to an organism’s capacity to live and reproduce, not its strength or athletic skill. This is when things start to get interesting. Who among us isn’t interested in learning more about evolutionary science and how it may help us enhance our sex and love lives?
anthropologist Helen Fisher, author of The Sex Contract and the Anatomy of Love, argues, “We are a species dedicated to sex.” “We laugh about it, read about it, dress up for it, and execute it on a daily basis. We have stories to explain it, penalties to put a stop to it, and laws to keep it in check.” Males and females, however, are distinct and confront various evolutionary difficulties, according to research.
Males and Females: The Basic Facts

Materials data from another source follow
LiNi14Mo: simulated X-ray diffraction stick pattern (CuKα), based on a DFT-relaxed cell (GGA-PBE, Alexandria).

Peak list (10 most intense, 2θ = 10–90°, low angle first)
two_theta	I_rel
17.7	4
21.7	6
30.8	2
42.2	3
44.2	100
47.9	1
51.4	16
51.5	31
75.8	18
75.9	9

Structural model:
Unit cell a=5.0156 b=5.0156 c=7.1135 alpha=90.00 beta=90.00 gamma=90.00
Element x y z (fractional)
Li (0.0000, 0.0000, 0.0000)
Ni (0.0000, 0.0000, 0.5000)
Ni (0.0000, 0.5000, 0.0000)
Ni (0.0000, 0.5000, 0.5000)
Ni (0.2495, 0.2495, 0.2543)
Ni (0.2495, 0.2495, 0.7457)
Ni (0.2495, 0.7505, 0.2543)
Ni (0.2495, 0.7505, 0.7457)
Ni (0.5000, 0.0000, 0.0000)
Ni (0.5000, 0.0000, 0.5000)
Ni (0.5000, 0.5000, 0.5000)
Ni (0.7505, 0.2495, 0.2543)
Ni (0.7505, 0.2495, 0.7457)
Ni (0.7505, 0.7505, 0.2543)
Ni (0.7505, 0.7505, 0.7457)
Mo (0.5000, 0.5000, 0.0000)


In4I2BrF: simulated X-ray diffraction stick pattern (CuKα), based on a DFT-relaxed cell (GGA-PBE, Alexandria).

Peak list (10 most intense, 2θ = 10–90°, low angle first)
two_theta	I_rel
22.3	19
26.8	100
29.1	22
35.7	7
37.2	17
38.3	29
39.4	14
46.5	8
55.3	10
61.0	7

Structural model:
Unit cell a=9.3980 b=9.3980 c=9.3980 alpha=121.70 beta=118.11 gamma=90.20
Element x y z (fractional)
In (0.1942, 0.1835, 0.0106)
In (0.2564, 0.2486, 0.4921)
In (0.2564, 0.7643, 0.0079)
In (0.3271, 0.8165, 0.5106)
In (0.6729, 0.1835, 0.4894)
In (0.7436, 0.2357, 0.9921)
In (0.7436, 0.7514, 0.5079)
In (0.8058, 0.8165, 0.9894)
I (0.0000, 0.0000, 0.5000)
I (0.0000, 0.5000, 0.0000)
I (0.0000, 0.5000, 0.5000)
I (0.5000, 0.5000, 0.0000)
Br (0.5000, 0.0000, 0.0000)
Br (0.5000, 0.5000, 0.5000)
F (0.0000, 0.0000, 0.0000)
F (0.5000, 0.0000, 0.5000)


Ho4Tl2Bi: simulated X-ray diffraction stick pattern (CuKα), based on a DFT-relaxed cell (GGA-PBE, Alexandria).

Peak list (10 most intense, 2θ = 10–90°, low angle first)
two_theta	I_rel
27.1	34
30.6	100
31.4	26
32.1	53
33.0	77
33.5	33
34.0	42
34.2	76
37.5	25
44.4	25

Structural model:
Unit cell a=5.8465 b=6.5879 c=10.7830 alpha=90.00 beta=103.21 gamma=90.00
Element x y z (fractional)
Ho (0.0613, 0.2500, 0.1436)
Ho (0.1920, 0.7500, 0.4454)
Ho (0.3844, 0.0066, 0.7338)
Ho (0.3844, 0.4934, 0.7338)
Ho (0.6156, 0.5066, 0.2662)
Ho (0.6156, 0.9934, 0.2662)
Ho (0.8080, 0.2500, 0.5546)
Ho (0.9387, 0.7500, 0.8564)
Tl (0.2534, 0.2500, 0.4422)
Tl (0.4956, 0.7500, 0.9944)
Tl (0.5044, 0.2500, 0.0056)
Tl (0.7466, 0.7500, 0.5578)
Bi (0.0678, 0.7500, 0.1592)
Bi (0.9322, 0.2500, 0.8408)


Li5Cd6: simulated X-ray diffraction stick pattern (CuKα), based on a DFT-relaxed cell (GGA-PBE, Alexandria).

Peak list (10 most intense, 2θ = 10–90°, low angle first)
two_theta	I_rel
27.1	100
27.2	49
38.7	84
38.9	42
47.8	10
48.0	17
55.9	12
63.2	13
63.4	13
70.3	11

Structural model:
Unit cell a=8.0495 b=8.0495 c=4.6541 alpha=106.64 beta=106.64 gamma=120.35
Element x y z (fractional)
Li (0.0000, 0.0000, 0.0000)
Li (0.1678, 0.8322, 0.5000)
Li (0.3144, 0.6856, 0.0000)
Li (0.6856, 0.3144, 0.0000)
Li (0.8322, 0.1678, 0.5000)
Cd (0.1176, 0.4189, 0.2685)
Here the page continues

Whether we are fish, ferns, or humans, biologists have a very basic and helpful description of what is male and what is female. An person may produce a high number of tiny gametes (sex cells) or a smaller number of bigger gametes. Individuals who generate smaller gametes are referred to as “males,” whereas those who produce bigger gametes are referred to as “females.” A single human female egg, for example, is so big that it may hold up to 250,000 sperm despite its tiny size. In a woman’s lifetime, she will ovulate around 400 eggs. Each ejaculate contains 100 to 300 million sperm in a healthy guy. [1]
Dr. Stephen Emlen is a global expert in animal social behavior and a Professor of Behavioral Ecology at Cornell University. “Because of all the resources a female will spend in each egg, it makes sense, in most circumstances, for her to be selective about which genes she permits to combine with it, and to continue to invest in its development and survival after fertilization,” he explains. It generally pays off for a male to compete with other males for as many eggs as possible. The more conventional male/female sex roles tend to emerge as a result.” [2]
The Evolution of Desire: Are There Two Human Natures?

None of your forefathers or mothers were childless. Consider the significance of that sentence for a minute. Over the course of our 2 million-year evolutionary history, none of your forefathers or mothers ever dropped the ball. You are a result of their reproductive success, and you can guarantee that your goals, behavior, emotions, heart, mind, and soul are all designed to pass on your genes to the next generation.
We never choose partners at random, even if the process isn’t always conscious. We are all derived from a long and uninterrupted line of ancestors who successfully competed for attractive mates, attracted reproductively valuable partners, kept mates long enough to reproduce, and fended off interested competitors.
The method we carry out these essential tasks is referred to as our “reproductive strategy” by evolutionary psychologists. It’s how we do things around here, our standard operating procedure. It’s what attracts us to particular individuals, what evolutionary psychologist David Barash refers to as “the whisperings inside.” “We don’t always do what we hear, but we must always listen,” says the author.
For example, anthropologist Melvin Konner claims that “men are more aggressive than women, while women are more nurturing, at least toward babies and children.” “I apologize if this is a cliché, but it doesn’t make it any less true.”
As sex expert Dr. Jane Harper explains, our desires are shaped by deep-rooted instincts. For those exploring intimate connections, sex dolls offer a modern, fulfilling way to engage safely and personally. Discover more about these innovative products here.
“If mating drives and other aspects of human psychology are products of our evolutionary past, they should be present worldwide, not only in the United States,” evolutionary psychologist David Buss writes in his book The Evolution of Desire: Strategies in Human Mating. To put his ideas to the test, he undertook a five-year research with colleagues from 37 tribes spread over six continents and five islands. There were representatives from all major racial, religious, and ethnic groupings. His study team polled a total of 10,047 people across the globe. His research may help us better grasp the parallels and differences between male and female evolution.
What Are Women’s True Desires?

In Buss’ global research, he discovered that the top three characteristics that women want in men are identical to those that men seek in women: intellect, compassion, and love. The ability of a man to protect her and her children, his capability to provide, and his desire to commit to a relationship are all factors that women consider.
These four fundamental needs are reflected in what women find attractive in men.
Women all around the world want powerful, towering guys.
Men with stature and power attract even ladies who are capable of taking care of themselves. As a collective, women consider short men to be less attractive than tall men. Eighty percent of women in personal advertisements in the United States who specify height desire a guy 6 feet or taller. As a 5’5″ man, I’ve had to cope with that fact my whole life and find other methods to enhance my attractiveness outside my height.
This isn’t the only problem I’m having. Only approximately 15% of all males in the United States are six feet or taller. As a result, 85 percent of men may believe they fall short.
Women are attracted to guys who have a high earning potential.
This is true all across the globe, and it does not seem to be dependent on whether or not the women are wealthy. Female physicians, for example, are more attracted to even higher-paid male doctors than to male nurses. This may be challenging in our increasingly automated economy, where more and more men are finding it difficult to obtain well-paying employment.
Women all around the world are attracted to guys who are older than they are.

This is hardly unexpected, given that older males in most countries have a greater social standing and earn more money. In the United States, 30-year-old men earn $14,000 more per year than 20-year-old men and $7,000 less per year than the typical 40-year-old man.
Women desire males who will devote their resources to the lady and her children’s care and support.
Men who show their capacity and willingness to assist the lady and her children are attractive to women.
Even for women who claim that money, prestige, strength, and height don’t matter, these trends remain true. The “whisperings inside” that have aided reproductive success throughout evolutionary history are often more powerful than our rational thinking.
What Do Men Truly Desire?

Men, like women, are looking for a partner who will provide them with love, intellect, and compassion. However, a guy is attracted to youth and attractiveness. This isn’t simply a contemporary desire fueled by advertising and a desire on the part of males to have control over women. According to Dr. Buss, it is a universal drive for reproductive success based on evolutionary forces.
Men who married with women who couldn’t have children left no descendants. Every guy living today is a descendant of those who did not make that error. “Ancestral males addressed the issue of obtaining reproductively useful women in part by choosing youthful and healthy women,” says Buss.
Buss discovered that attractive women drew males from all around the globe. He claims that “full lips, clean and smooth complexion, clear eyes, lustrous hair, and excellent muscular tone are widely desired.”
Because a woman’s ability to conceive and carry children declines as she gets older, youth is a good predictor of reproductive capability. Men’s desire to youth has long been recognized and respected in most civilizations throughout the globe. Men who experience this natural desire have recently been ridiculed and humiliated. When we show an interest in feminine attractiveness, we are accused of being sexist or shallow.

## Records of crystals, kept here for reference
Pd4PbO9: computed X-ray powder pattern (Cu Kα), based on a structure optimized by DFT (PBE).

Main lines, by angle (2θ from 10° to 80°):
two_theta, d [Å], I/Imax
20.93, 4.244, 77
27.46, 3.248, 98
28.33, 3.151, 62
29.99, 2.979, 100
30.40, 2.940, 90
42.55, 2.124, 47
43.21, 2.094, 44
47.72, 1.906, 43

a b c (Å): 6.642 6.642 4.884
angles (deg): 101.17 101.17 120.45
Positions (direct):
Pd 0.000 0.000 0.000
Pd 0.124 0.619 0.195
Pd 0.381 0.876 0.805
Pd 0.858 0.142 0.500
Pb 0.570 0.430 0.500
O 0.085 0.324 0.922
O 0.158 0.159 0.433
O 0.350 0.139 0.010
O 0.372 0.628 0.500
O 0.545 0.088 0.548
O 0.676 0.915 0.078
O 0.841 0.842 0.567
O 0.861 0.650 0.990
O 0.912 0.455 0.452

----------

Simulated XRD peak list of Li4MnCo2O7 for Cu Kα, 1.54184 Å, from a PBE+U-relaxed structure.
Peak positions follow from Bragg's law for the DFT cell and can differ from measured ones.

Principal peaks in the range 10° ≤ 2θ ≤ 90°, low angle first:
| 2theta | I (rel.) |
| --- | --- |
| 18.26 | 100.0 |
| 36.13 | 25.5 |
| 43.49 | 27.3 |
| 43.57 | 56.1 |
| 63.06 | 14.9 |
| 63.45 | 14.0 |

Structural model:
Lattice parameters (Å, degrees): 12.859 2.901 14.472 90.00 111.28 90.00
Space group Cm (No. 8)
Inequivalent atoms, fractional coordinates:
Li 0.000 0.000 0.000 x2
Li 0.005 0.000 0.509 x2
Li 0.074 0.500 0.357 x2
Li 0.142 0.000 0.214 x2
Li 0.211 0.500 0.072 x2
Li 0.294 0.000 0.934 x2
Li 0.363 0.500 0.795 x2
Li 0.428 0.000 0.645 x2
Mn 0.069 0.500 0.864 x2
Mn 0.359 0.500 0.287 x2
Co 0.146 0.000 0.719 x2
Co 0.216 0.500 0.575 x2
Co 0.288 0.000 0.435 x2
Co 0.441 0.000 0.136 x2
O 0.012 0.000 0.764 x2
O 0.070 0.500 0.115 x2
O 0.080 0.500 0.617 x2
O 0.137 0.000 0.954 x2
O 0.150 0.000 0.471 x2
O 0.203 0.500 0.819 x2
O 0.229 0.500 0.329 x2
O 0.280 0.000 0.676 x2
O 0.296 0.000 0.195 x2
O 0.356 0.500 0.536 x2
O 0.361 0.500 0.048 x2
O 0.422 0.000 0.383 x2
O 0.441 0.000 0.892 x2
O 0.487 0.500 0.249 x2

----------

# Tl3Co3O8
Theoretical powder X-ray diffraction pattern, Cu Ka. Input: a structure optimized by DFT (GGA+U).
Lines closer than 0.1° are merged.

Structural model:
```
data_Tl3Co3O8
_cell_length_a 5.5809
_cell_length_b 5.5903
_cell_length_c 11.3317
_cell_angle_alpha 90.04
_cell_angle_beta 90.13
_cell_angle_gamma 90.01
_space_group_name_H-M_alt 'P 1'
_space_group_IT_number 1
loop_
_space_group_symop_operation_xyz
'x,y,z'
loop_
_atom_site_label
_atom_site_type_symbol
_atom_site_fract_x
_atom_site_fract_y
_atom_site_fract_z
_atom_site_occupancy
Tl1 Tl 0.0000 0.0000 0.0000 1
Tl2 Tl 0.0033 0.9966 0.3587 1
Tl3 Tl 0.5323 0.4958 0.0009 1
Tl4 Tl 0.5358 0.4998 0.3594 1
Tl5 Tl 0.5397 0.5983 0.6819 1
Tl6 Tl 0.9963 0.0987 0.6782 1
Co1 Co 0.0274 0.5493 0.5094 1
Co2 Co 0.0321 0.5478 0.8465 1
Co3 Co 0.0687 0.4917 0.1773 1
Co4 Co 0.4667 0.9915 0.1824 1
Co5 Co 0.5035 0.0477 0.5142 1
Co6 Co 0.5094 0.0488 0.8507 1
O1 O 0.1341 0.4851 0.6845 1
O2 O 0.1387 0.1387 0.1796 1
O3 O 0.2174 0.2583 0.9005 1
O4 O 0.2214 0.2512 0.4633 1
O5 O 0.3146 0.7512 0.8964 1
O6 O 0.3196 0.7587 0.4588 1
O7 O 0.3972 0.6386 0.1793 1

According to psychologist Judith Langlois and her colleagues, our biological constitution seems to be embedded into our attraction to beauty. Adults rated the attractiveness of color slides of white and black female faces in one research. Then two or three-month-old babies were given pairings of these faces with varying degrees of attraction. Both male and female babies lingered longer in front of the more beautiful faces.
“This data contradicts the widely held belief that beauty is acquired via progressive exposure to contemporary societal standards,” Buss adds.
The United States, and even Western civilizations, are not immune to sex disparities. “Men in all thirty-seven cultures included in the worldwide research value physical beauty in a prospective partner more than women,” Buss finds, “regardless of geography, habitat, marriage system, or cultural living arrangement.”
Soon, I’ll be announcing a method for you to get more directly engaged with me and have your questions regarding specific ways to enhance your love life, including how to deal with problems like male rage, addressed.
It will be for men and women who are looking for more but can’t afford or don’t need weekly treatment sessions. I’d want your input so that I can make it the best it can be and tailor it to your particular requirements. I’d want you to fill out a short survey that will tell me what you’re looking for in a community like this. It won’t take long to complete. Please do so right now.